[1]
Material: TaV2
Method: DFT, GGA-PBE
State: relaxed

Lattice parameters (Å, degrees): 5.038 5.038 5.038 60.00 60.00 60.00
Sites, in units of the cell vectors:
1 Ta 0.125 0.125 0.125
2 Ta 0.875 0.875 0.875
3 V 0.000 0.500 0.500
4 V 0.500 0.000 0.500
5 V 0.500 0.500 0.000
6 V 0.500 0.500 0.500

Calculated formation energy   -0.10 eV/atom
Uncorrected energy   -10.11 eV per atom
SG   Fd-3m

[2]
Material: RbCl
Method: DFT, GGA-PBE
State: relaxed

Lattice parameters (Å, degrees): 6.699 6.699 6.699 90.00 90.00 90.00
Sites, in units of the cell vectors:
1 Rb 0.000 0.000 0.000
2 Rb 0.000 0.500 0.500
3 Rb 0.500 0.000 0.500
4 Rb 0.500 0.500 0.000
5 Cl 0.000 0.000 0.500
6 Cl 0.000 0.500 0.000
7 Cl 0.500 0.000 0.000
8 Cl 0.500 0.500 0.500

Calculated formation energy   -2.24 eV/atom
Uncorrected energy   -3.35 eV per atom
SG   Fm-3m

[3]
Material: KZr2As3O12
Method: DFT, GGA-PBE
State: relaxed

Lattice parameters (Å, degrees): 9.880 9.880 9.880 55.85 55.85 55.85
Sites, in units of the cell vectors:
1 K 0.000 0.000 0.000
2 K 0.500 0.500 0.500
3 Zr 0.148 0.148 0.148
4 Zr 0.352 0.352 0.352
5 Zr 0.648 0.648 0.648
6 Zr 0.852 0.852 0.852
7 As 0.034 0.750 0.466
8 As 0.250 0.534 0.966
9 As 0.466 0.034 0.750
10 As 0.534 0.966 0.250
11 As 0.750 0.466 0.034
12 As 0.966 0.250 0.534
13 O 0.011 0.761 0.645
14 O 0.067 0.932 0.285
15 O 0.068 0.715 0.933
16 O 0.145 0.261 0.511
17 O 0.215 0.568 0.433
18 O 0.239 0.355 0.989
19 O 0.261 0.511 0.145
20 O 0.285 0.067 0.932
21 O 0.355 0.989 0.239
22 O 0.432 0.567 0.785
23 O 0.433 0.215 0.568
24 O 0.489 0.855 0.739
25 O 0.511 0.145 0.261
26 O 0.567 0.785 0.432
27 O 0.568 0.433 0.215
28 O 0.645 0.011 0.761
29 O 0.715 0.933 0.068
30 O 0.739 0.489 0.855
31 O 0.761 0.645 0.011
32 O 0.785 0.432 0.567
33 O 0.855 0.739 0.489
34 O 0.932 0.285 0.067
35 O 0.933 0.068 0.715
36 O 0.989 0.239 0.355

Calculated formation energy   -2.53 eV/atom
Uncorrected energy   -7.15 eV per atom
SG   R-3c

[4]
Material: NaLa4PS5O24
Method: DFT, GGA-PBE
State: relaxed

Lattice parameters (Å, degrees): 9.580 9.581 25.191 90.00 90.00 60.13
Sites, in units of the cell vectors:
1 Na 0.000 0.000 0.000
2 Na 0.000 0.014 0.492
3 Na 0.340 0.340 0.159
4 La 0.324 0.343 0.313
5 La 0.326 0.339 0.514
6 La 0.332 0.342 0.809
7 La 0.340 0.341 0.016
8 La 0.658 0.681 0.178
9 La 0.658 0.683 0.979
10 La 0.665 0.674 0.681
11 La 0.672 0.667 0.472
12 La 0.998 0.000 0.141
13 La 0.998 0.016 0.345
14 La 0.999 0.007 0.846
15 La 0.999 0.008 0.644
16 P 0.041 0.336 0.413
17 P 0.370 0.675 0.078
18 P 0.665 0.969 0.078
19 S 0.000 0.712 0.245
20 S 0.039 0.635 0.912
21 S 0.291 0.011 0.244
22 S 0.291 0.715 0.745
23 S 0.328 0.637 0.413
24 S 0.329 0.050 0.911
25 S 0.373 0.964 0.578
26 S 0.627 0.049 0.413
27 S 0.628 0.340 0.911
28 S 0.667 0.380 0.578
29 S 0.702 0.302 0.244
30 S 0.706 0.008 0.745
31 S 0.956 0.678 0.578
32 S 0.960 0.379 0.078
33 S 0.999 0.300 0.745
34 O 0.022 0.184 0.407
35 O 0.023 0.199 0.697
36 O 0.023 0.797 0.906
37 O 0.025 0.789 0.197
38 O 0.117 0.535 0.572
39 O 0.119 0.538 0.863
40 O 0.122 0.357 0.362
41 O 0.123 0.362 0.073
42 O 0.141 0.559 0.959
43 O 0.142 0.317 0.752
44 O 0.147 0.550 0.250
45 O 0.148 0.313 0.463
46 O 0.183 0.798 0.407
47 O 0.184 0.032 0.905
48 O 0.190 0.033 0.197
49 O 0.190 0.792 0.697
50 O 0.200 0.828 0.083
51 O 0.209 0.983 0.584
52 O 0.214 0.816 0.792
53 O 0.214 0.991 0.292
54 O 0.305 0.150 0.959
55 O 0.307 0.555 0.752
56 O 0.307 0.558 0.460
57 O 0.309 0.156 0.250
58 O 0.347 0.129 0.863
59 O 0.350 0.523 0.073
60 O 0.350 0.540 0.364
61 O 0.356 0.124 0.572
62 O 0.449 0.864 0.530
63 O 0.451 0.699 0.737
64 O 0.451 0.867 0.239
65 O 0.453 0.693 0.027
66 O 0.469 0.887 0.626
67 O 0.471 0.654 0.419
68 O 0.472 0.655 0.128
69 O 0.472 0.890 0.917
70 O 0.512 0.140 0.073
71 O 0.524 0.363 0.571
72 O 0.530 0.357 0.863
73 O 0.531 0.125 0.364
74 O 0.540 0.318 0.250
75 O 0.546 0.151 0.752
76 O 0.550 0.150 0.460
77 O 0.553 0.313 0.959
78 O 0.642 0.889 0.419
79 O 0.645 0.482 0.918
80 O 0.647 0.886 0.129
81 O 0.648 0.477 0.626
82 O 0.686 0.868 0.028

Could you quote the calculation results further up from the first line to the one with "0.998 0.016" exactly?

[1]
Material: TaV2
Method: DFT, GGA-PBE
State: relaxed

Lattice parameters (Å, degrees): 5.038 5.038 5.038 60.00 60.00 60.00
Sites, in units of the cell vectors:
1 Ta 0.125 0.125 0.125
2 Ta 0.875 0.875 0.875
3 V 0.000 0.500 0.500
4 V 0.500 0.000 0.500
5 V 0.500 0.500 0.000
6 V 0.500 0.500 0.500

Calculated formation energy   -0.10 eV/atom
Uncorrected energy   -10.11 eV per atom
SG   Fd-3m

[2]
Material: RbCl
Method: DFT, GGA-PBE
State: relaxed

Lattice parameters (Å, degrees): 6.699 6.699 6.699 90.00 90.00 90.00
Sites, in units of the cell vectors:
1 Rb 0.000 0.000 0.000
2 Rb 0.000 0.500 0.500
3 Rb 0.500 0.000 0.500
4 Rb 0.500 0.500 0.000
5 Cl 0.000 0.000 0.500
6 Cl 0.000 0.500 0.000
7 Cl 0.500 0.000 0.000
8 Cl 0.500 0.500 0.500

Calculated formation energy   -2.24 eV/atom
Uncorrected energy   -3.35 eV per atom
SG   Fm-3m

[3]
Material: KZr2As3O12
Method: DFT, GGA-PBE
State: relaxed

Lattice parameters (Å, degrees): 9.880 9.880 9.880 55.85 55.85 55.85
Sites, in units of the cell vectors:
1 K 0.000 0.000 0.000
2 K 0.500 0.500 0.500
3 Zr 0.148 0.148 0.148
4 Zr 0.352 0.352 0.352
5 Zr 0.648 0.648 0.648
6 Zr 0.852 0.852 0.852
7 As 0.034 0.750 0.466
8 As 0.250 0.534 0.966
9 As 0.466 0.034 0.750
10 As 0.534 0.966 0.250
11 As 0.750 0.466 0.034
12 As 0.966 0.250 0.534
13 O 0.011 0.761 0.645
14 O 0.067 0.932 0.285
15 O 0.068 0.715 0.933
16 O 0.145 0.261 0.511
17 O 0.215 0.568 0.433
18 O 0.239 0.355 0.989
19 O 0.261 0.511 0.145
20 O 0.285 0.067 0.932
21 O 0.355 0.989 0.239
22 O 0.432 0.567 0.785
23 O 0.433 0.215 0.568
24 O 0.489 0.855 0.739
25 O 0.511 0.145 0.261
26 O 0.567 0.785 0.432
27 O 0.568 0.433 0.215
28 O 0.645 0.011 0.761
29 O 0.715 0.933 0.068
30 O 0.739 0.489 0.855
31 O 0.761 0.645 0.011
32 O 0.785 0.432 0.567
33 O 0.855 0.739 0.489
34 O 0.932 0.285 0.067
35 O 0.933 0.068 0.715
36 O 0.989 0.239 0.355

Calculated formation energy   -2.53 eV/atom
Uncorrected energy   -7.15 eV per atom
SG   R-3c

[4]
Material: NaLa4PS5O24
Method: DFT, GGA-PBE
State: relaxed

Lattice parameters (Å, degrees): 9.580 9.581 25.191 90.00 90.00 60.13
Sites, in units of the cell vectors:
1 Na 0.000 0.000 0.000
2 Na 0.000 0.014 0.492
3 Na 0.340 0.340 0.159
4 La 0.324 0.343 0.313
5 La 0.326 0.339 0.514
6 La 0.332 0.342 0.809
7 La 0.340 0.341 0.016
8 La 0.658 0.681 0.178
9 La 0.658 0.683 0.979
10 La 0.665 0.674 0.681
11 La 0.672 0.667 0.472
12 La 0.998 0.000 0.141
13 La 0.998 0.016 0.345